With all the articles we’ve read and conversations we’ve heard here at AgingOptions about the Home Equity Conversion Loan, or HECM – commonly called the reverse mortgage – the question millions of older homeowners are still asking themselves is simple: “Is a reverse mortgage right for me?” We can’t count the number of times we’ve been asked that question, on the radio, in a seminar on at our office, and our answer is typically, “It depends.” Everyone’s situation is unique and a reverse mortgage, while a Godsend for many, is by no means right for everyone, and we tend toward a more conservative view of this issue, as we’ll discuss below.
In our local Seattle Times on a recent weekend we discovered this insightful and well-written article by a man named Jack Guttentag who called himself “The Mortgage Professor.” In fact, that title isn’t far off the mark: Guttentag is a Professor of Finance Emeritus from the Wharton School of Business, and what he has to say about reverse mortgages seems to us generally well balanced, with a few caveats. His views seem to represent yet another financial expert who is now an outspoken believer in the power of this versatile financial tool called an HECM.
The first question he tackles in the Times article is, “Which seniors should reject a HECM, and which should consider one?” Guttentag identifies three broad categories of seniors for whom a reverse mortgage is probably the wrong financial solution:
- Seniors whose financial situation is so secure that a reverse mortgage is unnecessary;
- Seniors who are determined to pass a debt-free house to their heirs;
- Seniors who want those presently living in the house to be able to keep living there after the homeowner’s death – family members other than a spouse who are too young (below age 62) to qualify for a reverse mortgage.
If you fit into one of these three categories, the Mortgage Professor says you should “say no” to a home equity conversion loan. However, we might argue that you should at least (pardon the pun) do your homework and talk to a qualified, objective reverse mortgage expert before you make that decision. Don’t rule out the power of a reverse mortgage until you’ve gotten some unbiased professional advice, because your financial circumstances may change, and there may be a way to solve some of the other impediments standing in your way.
How about the many seniors who, in the words of Jack Guttentag in the Times, should say yes to an HECM? This is a much longer list, and we won’t include every one of the ten criteria he mentions, but here’s a sampling. According to this article, you might want to look into a reverse mortgage if:
- You expect your retirement income to drop but your mortgage payments to continue;
- You’re living on Social Security or a small pension and need an indefinite source of supplementary income;
- You’re worried that your retirement nest egg won’t last through your retirement years;
- You need a way to manage unexpected expenses, especially if you’re on a fixed income;
- You want to delay Social Security but need income now to bridge the gap while you wait.
If any of that sounds like you – and we think those conditions and many of the others listed by Guttentag in the Times article apply to a large number of retirees – then the reverse mortgage could, he suggests, be a big part of the solution to your financial worries in retirement. But we would add a few cautionary notes. As Rajiv Nagaich says, “Our view is that anyone who desires to live in their current home – after they’ve made sure that the home is age-friendly and that their family or other care workers will be there to support them when they need it – should get a line of credit established. I see the line of credit as a hedge and a financial tool. But some of the other uses suggested in this article, such as need for basic income, should be approached with caution because in my view it’s better to avoid depleting the last asset you have, which is your home.” Rajiv recommends that low-income seniors explore rent-controlled housing, and then be ready to move to a care facility at a later time, as potential HECM alternatives.
== Here the article breaks off for data records ==
C44H52F3GeNO3P2SW | the ωB97M-V functional and the def2-TZVPD basis

The spin multiplicity is 3. Its largest force on an atom is 4.66 eV/Å. As for the calculated total energy: -5512.78701 a.u.

Last column: Löwdin charge in e.
Cartesian coordinates (Å):
W  0.6205  0.1802  0.6632  1.305
C  -0.6437  4.8589  -1.3148  -0.105
C  -0.7833  3.4909  -0.6547  -0.500
C  -1.9672  2.7178  -1.2461  -0.101
P  0.7304  2.4586  -0.5379  1.079
C  1.8478  2.5013  -1.9977  -0.500
C  1.7633  3.6915  -2.9560  -0.103
C  3.3094  2.3060  -1.5635  -0.110
C  1.6045  3.3476  0.8045  -0.281
C  2.4928  4.4090  0.7301  -0.086
C  3.1351  4.8690  1.8745  -0.081
C  2.8791  4.2487  3.0913  -0.072
C  1.9538  3.2210  3.1801  -0.035
C  1.2916  2.7818  2.0381  -0.331
N  0.2705  1.7864  2.0425  -0.172
C  -0.6940  1.8796  3.0431  -0.294
C  -0.9766  3.0860  3.7305  -0.026
C  -1.9493  3.1278  4.7062  -0.081
C  -2.6999  1.9980  5.0275  -0.091
C  -2.4631  0.8330  4.3203  -0.095
C  -1.4786  0.7740  3.3404  -0.322
P  -1.0905  -0.6924  2.3719  1.056
C  -2.6890  -1.3069  1.7010  -0.509
C  -3.5019  -2.2443  2.5930  -0.097
C  -3.5577  -0.1237  1.2524  -0.099
C  -0.6397  -1.8619  3.7327  -0.501
C  0.4929  -1.2624  4.5760  -0.088
C  -0.2492  -3.2561  3.2231  -0.096
H  -1.5307  5.4486  -1.0721  0.084
H  0.2265  5.4100  -0.9503  0.069
H  -0.5829  4.7855  -2.3985  0.063
H  -0.9820  3.6553  0.4076  0.104
H  -1.7438  2.3427  -2.2511  0.078
H  -2.2194  1.8678  -0.6222  0.020
H  -2.8432  3.3696  -1.3103  0.085
H  1.5439  1.6096  -2.5467  0.075
H  1.8893  4.6505  -2.4511  0.064
H  2.5740  3.5964  -3.6842  0.084
H  0.8267  3.7091  -3.5116  0.067
H  3.7697  3.2574  -1.2952  0.069
H  3.4181  1.6309  -0.7208  0.052
H  3.8697  1.8848  -2.4046  0.090
H  2.6845  4.8954  -0.2199  0.096
H  3.8357  5.6923  1.8134  0.101
H  3.3954  4.5789  3.9857  0.106
H  1.7430  2.7548  4.1352  0.124
H  -0.4264  3.9850  3.4889  0.109
H  -2.1300  4.0611  5.2285  0.105
H  -3.4459  2.0294  5.8117  0.099
H  -3.0429  -0.0549  4.5497  0.098
H  -2.3916  -1.8542  0.8065  0.064
H  -3.9227  -1.7208  3.4552  0.070
H  -4.3375  -2.6357  2.0067  0.085
H  -2.9323  -3.0985  2.9550  0.057
H  -3.9963  0.3864  2.1114  0.076
H  -2.9820  0.6131  0.6951  0.034
H  -4.3693  -0.4840  0.6139  0.090
H  -1.5346  -1.9365  4.3533  0.099
H  1.3668  -1.0360  3.9710  0.054
H  0.1809  -0.3475  5.0771  0.073
H  0.8042  -1.9838  5.3365  0.088
H  0.6864  -3.2267  2.6762  0.050
H  -0.1136  -3.9309  4.0724  0.089
H  -1.0085  -3.6891  2.5675  0.049
F  1.9588  -0.0463  -0.8917  -0.511
C  4.1749  -1.2152  0.2819  -0.315
F  4.8148  -2.3393  0.0264  0.106
F  4.9938  -0.3808  0.9074  0.104
S  2.6705  -1.4573  1.3634  0.564
O  1.3422  -1.8511  0.7807  -0.460
O  3.1081  -2.3385  2.3863  -0.231
O  2.3940  -0.0559  1.7957  -0.426
C  -0.7617  -0.2867  -0.6314  -0.386
Ge  -0.1196  -1.7435  -1.8648  0.955
C  1.4008  -2.9490  -2.1230  -0.253
C  1.1385  -4.3102  -2.3157  -0.092
C  2.1460  -5.1953  -2.6864  -0.081
C  3.4402  -4.7418  -2.8907  -0.089
C  3.7208  -3.3950  -2.7102  -0.088
== The article goes on ==
The article is written in a Q&A format, so it deals with some of the basics of an HECM. For example, Guttentag explains why a reverse mortgage is called by that name: it’s because in a reverse mortgage the loan balance starts out low and grows over time which is just the opposite of a standard mortgage. He also answers the common question, “Does taking a reverse mortgage result in no home equity passing to my heirs?” The answer is, possibly, but probably not: it depends on how the borrower uses the reverse mortgage, how long the borrow lives, and how much the home appreciates. These are all scenarios that a reverse mortgage professional can review with you so you and your family will know what to expect.
Finally, for those among us who are procrastinators, the Times article wraps up with this question: “What are the advantages and disadvantages of waiting before taking out a reverse mortgage?” Guttentag’s reply: if you wait to take out an HECM, you’ll generally be able to draw out more because you’ll be older. You might be able to borrow more because your home has appreciated. “However,” he writes, “both of these effects can be swamped by a rise in interest rates, which reduces draw amounts. The best strategy for borrowers who have no current need for funds but anticipate that they will sometime in the future is to take a credit line now and let it sit unused while it grows in size. That way, if market interest rates rise, the reduction in draw amounts that results will be at least partially offset by a rise in the unused credit line.”
Our recommendation is for you and your spouse to read articles like the column by the Mortgage Professor, and then to sit down and consult with a trusted expert like Laura Kiel, whose services we endorse. Only by spending time going over your own situation can you make a decision that best suits your needs. If you’ll contact us at AgingOptions we’ll gladly refer you to Laura, because we know you can rely on the professional information she’ll provide to you. But remember that decisions such as whether a reverse mortgage is right for you should not be made in a “planning vacuum.” Instead, you need the type of holistic approach to retirement planning that we practice here at AgingOptions. With our strategy called LifePlanning, we combine all the elements of your life in retirement – finances, housing, medical care, legal affairs and family communications – into a well-crafted LifePlan, one in which all these parts mesh together seamlessly. There’s no other retirement plan like it.
There’s a simple, no-obligation way to find out more: come see Rajiv Nagaich at an upcoming AgingOptions LifePlanning Seminar. These free events held throughout the area take just a few hours but will start you on the road to a retirement that is truly joy-filled and secure. You can click here for details including online registration, or call us for assistance during the week. It will be our pleasure to show you the power of an AgingOptions LifePlan.
(originally reported at www.seattletimes.com)